-- Work order --
Please give back the material underneath verbatim.

-- Listing --
<<<
VASP calculation (GGA+U) on an optimized crystal structure of VAs3F.

- Fermi-level density of states (states/eV/f.u.) = 4.475
- crystal system = cubic
- ρ (g/cm3) = 5.312
- magnetic moment (μB per atom) = 0.4881
- relative energy among the computed polymorphs (eV/atom) = 0.2085

a b c (Å): 4.5163 4.5163 4.5163
angles (deg): 90.00 90.00 90.00
Each line ends with the local moment (μB).
Sites, in units of the cell vectors:
V 0.5000 0.5000 0.5000  2.68
As 0.0000 0.5000 0.0000  -0.11
As 0.5000 0.0000 0.0000  -0.11
As 0.0000 0.0000 0.5000  -0.11
F 0.0000 0.0000 0.0000  -0.03


Density functional theory data (PBE) for a relaxed Rb3Ba4Rh crystal.

Output
Density   2602 kg/m3
DOS(E_F)   16.15 states/eV/cell
Energy of formation   25 meV/atom
Space-group type   Pmmn (59)

Cell lengths 6.028, 12.575, 15.298 Å; angles 90.00, 90.00, 90.00 degrees
Fractional positions:
Rb (0.936, 0.500, 0.639)
Rb (0.936, 0.302, 0.365)
Rb (0.436, 0.802, 0.635)
Rb (0.436, 0.000, 0.361)
Rb (0.936, 0.698, 0.365)
Rb (0.436, 0.198, 0.635)
Ba (0.436, 0.500, 0.879)
Ba (0.936, 0.233, 0.890)
Ba (0.936, 0.000, 0.121)
Ba (0.936, 0.500, 0.097)
Ba (0.436, 0.000, 0.903)
Ba (0.436, 0.267, 0.110)
Ba (0.936, 0.767, 0.890)
Ba (0.436, 0.733, 0.110)
Rh (0.936, 0.000, 0.933)
Rh (0.436, 0.500, 0.067)

---

Density functional theory data (PBE) for a relaxed Rb3Ba12Rh5 crystal.

Output
Density   3700 kg/m3
DOS(E_F)   70.86 states/eV/cell
Energy of formation   103 meV/atom
Space-group type   Ia-3d (230)

Cell lengths 17.801, 17.801, 17.801 Å; angles 109.47, 109.47, 109.47 degrees
Fractional positions:
Ba (0.403, 0.995, 0.313)
Ba (0.813, 0.903, 0.995)
Ba (0.090, 0.187, 0.183)
Ba (0.903, 0.090, 0.907)
Ba (0.683, 0.093, 0.995)
Ba (0.590, 0.683, 0.687)
Ba (0.187, 0.097, 0.005)
Ba (0.495, 0.313, 0.903)
Ba (0.597, 0.005, 0.687)
Ba (0.403, 0.407, 0.590)
Ba (0.907, 0.317, 0.505)
Ba (0.097, 0.187, 0.505)
Ba (0.097, 0.910, 0.093)
Ba (0.313, 0.495, 0.403)
Ba (0.593, 0.597, 0.910)
Ba (0.317, 0.410, 0.813)
Ba (0.683, 0.590, 0.187)
Ba (0.410, 0.317, 0.313)
Ba (0.187, 0.090, 0.683)
Ba (0.590, 0.907, 0.403)
Ba (0.817, 0.313, 0.910)
Ba (0.093, 0.683, 0.495)
Ba (0.317, 0.907, 0.005)
Ba (0.687, 0.505, 0.597)
Ba (0.910, 0.097, 0.593)
Ba (0.313, 0.817, 0.410)
Ba (0.817, 0.505, 0.407)
Ba (0.183, 0.495, 0.593)
Ba (0.910, 0.813, 0.817)
Ba (0.813, 0.910, 0.317)
Ba (0.005, 0.597, 0.187)
Ba (0.090, 0.903, 0.407)
Ba (0.995, 0.403, 0.813)
Ba (0.597, 0.593, 0.410)
Ba (0.410, 0.093, 0.597)
Ba (0.995, 0.593, 0.683)
Ba (0.093, 0.410, 0.097)
Ba (0.907, 0.590, 0.903)
Ba (0.903, 0.813, 0.495)
Ba (0.407, 0.005, 0.817)
Ba (0.593, 0.995, 0.183)
Ba (0.505, 0.687, 0.097)
Ba (0.505, 0.817, 0.907)
Ba (0.183, 0.687, 0.090)
Ba (0.407, 0.403, 0.090)
Ba (0.005, 0.407, 0.317)
Ba (0.687, 0.183, 0.590)
Ba (0.495, 0.183, 0.093)
Rh (0.750, 0.125, 0.875)
Rh (0.875, 0.250, 0.625)
Rh (0.000, 0.000, 0.500)
Rh (0.875, 0.625, 0.750)
Rh (0.500, 0.500, 0.500)
Rh (0.375, 0.250, 0.125)
Rh (0.125, 0.375, 0.250)
Rh (0.000, 0.500, 0.500)
Rh (0.250, 0.375, 0.625)
Rh (0.000, 0.000, 0.000)
Rh (0.500, 0.000, 0.000)
Rh (0.625, 0.750, 0.875)
Rh (0.500, 0.000, 0.500)
Rh (0.625, 0.875, 0.250)
Rh (0.000, 0.500, 0.000)
Rh (0.250, 0.875, 0.125)
>>>

-- Here it is --
VASP calculation (GGA+U) on an optimized crystal structure of VAs3F.

- Fermi-level density of states (states/eV/f.u.) = 4.475
- crystal system = cubic
- ρ (g/cm3) = 5.312
- magnetic moment (μB per atom) = 0.4881
- relative energy among the computed polymorphs (eV/atom) = 0.2085

a b c (Å): 4.5163 4.5163 4.5163
angles (deg): 90.00 90.00 90.00
Each line ends with the local moment (μB).
Sites, in units of the cell vectors:
V 0.5000 0.5000 0.5000  2.68
As 0.0000 0.5000 0.0000  -0.11
As 0.5000 0.0000 0.0000  -0.11
As 0.0000 0.0000 0.5000  -0.11
F 0.0000 0.0000 0.0000  -0.03


Density functional theory data (PBE) for a relaxed Rb3Ba4Rh crystal.

Output
Density   2602 kg/m3
DOS(E_F)   16.15 states/eV/cell
Energy of formation   25 meV/atom
Space-group type   Pmmn (59)

Cell lengths 6.028, 12.575, 15.298 Å; angles 90.00, 90.00, 90.00 degrees
Fractional positions:
Rb (0.936, 0.500, 0.639)
Rb (0.936, 0.302, 0.365)
Rb (0.436, 0.802, 0.635)
Rb (0.436, 0.000, 0.361)
Rb (0.936, 0.698, 0.365)
Rb (0.436, 0.198, 0.635)
Ba (0.436, 0.500, 0.879)
Ba (0.936, 0.233, 0.890)
Ba (0.936, 0.000, 0.121)
Ba (0.936, 0.500, 0.097)
Ba (0.436, 0.000, 0.903)
Ba (0.436, 0.267, 0.110)
Ba (0.936, 0.767, 0.890)
Ba (0.436, 0.733, 0.110)
Rh (0.936, 0.000, 0.933)
Rh (0.436, 0.500, 0.067)

---

Density functional theory data (PBE) for a relaxed Rb3Ba12Rh5 crystal.

Output
Density   3700 kg/m3
DOS(E_F)   70.86 states/eV/cell
Energy of formation   103 meV/atom
Space-group type   Ia-3d (230)

Cell lengths 17.801, 17.801, 17.801 Å; angles 109.47, 109.47, 109.47 degrees
Fractional positions:
Ba (0.403, 0.995, 0.313)
Ba (0.813, 0.903, 0.995)
Ba (0.090, 0.187, 0.183)
Ba (0.903, 0.090, 0.907)
Ba (0.683, 0.093, 0.995)
Ba (0.590, 0.683, 0.687)
Ba (0.187, 0.097, 0.005)
Ba (0.495, 0.313, 0.903)
Ba (0.597, 0.005, 0.687)
Ba (0.403, 0.407, 0.590)
Ba (0.907, 0.317, 0.505)
Ba (0.097, 0.187, 0.505)
Ba (0.097, 0.910, 0.093)
Ba (0.313, 0.495, 0.403)
Ba (0.593, 0.597, 0.910)
Ba (0.317, 0.410, 0.813)
Ba (0.683, 0.590, 0.187)
Ba (0.410, 0.317, 0.313)
Ba (0.187, 0.090, 0.683)
Ba (0.590, 0.907, 0.403)
Ba (0.817, 0.313, 0.910)
Ba (0.093, 0.683, 0.495)
Ba (0.317, 0.907, 0.005)
Ba (0.687, 0.505, 0.597)
Ba (0.910, 0.097, 0.593)
Ba (0.313, 0.817, 0.410)
Ba (0.817, 0.505, 0.407)
Ba (0.183, 0.495, 0.593)
Ba (0.910, 0.813, 0.817)
Ba (0.813, 0.910, 0.317)
Ba (0.005, 0.597, 0.187)
Ba (0.090, 0.903, 0.407)
Ba (0.995, 0.403, 0.813)
Ba (0.597, 0.593, 0.410)
Ba (0.410, 0.093, 0.597)
Ba (0.995, 0.593, 0.683)
Ba (0.093, 0.410, 0.097)
Ba (0.907, 0.590, 0.903)
Ba (0.903, 0.813, 0.495)
Ba (0.407, 0.005, 0.817)
Ba (0.593, 0.995, 0.183)
Ba (0.505, 0.687, 0.097)
Ba (0.505, 0.817, 0.907)
Ba (0.183, 0.687, 0.090)
Ba (0.407, 0.403, 0.090)
Ba (0.005, 0.407, 0.317)
Ba (0.687, 0.183, 0.590)
Ba (0.495, 0.183, 0.093)
Rh (0.750, 0.125, 0.875)
Rh (0.875, 0.250, 0.625)
Rh (0.000, 0.000, 0.500)
Rh (0.875, 0.625, 0.750)
Rh (0.500, 0.500, 0.500)
Rh (0.375, 0.250, 0.125)
Rh (0.125, 0.375, 0.250)
Rh (0.000, 0.500, 0.500)
Rh (0.250, 0.375, 0.625)
Rh (0.000, 0.000, 0.000)
Rh (0.500, 0.000, 0.000)
Rh (0.625, 0.750, 0.875)
Rh (0.500, 0.000, 0.500)
Rh (0.625, 0.875, 0.250)
Rh (0.000, 0.500, 0.000)
Rh (0.250, 0.875, 0.125)